Department of Functionalized Natural Materials, The Institute of Scientific and Industrial Research, Osaka University 大阪大学 産業科学研究所 第2研究分門 自然材料機能化研究分野

Department of Functionalized Natural Materials, The Institute of Scientific and Industrial Research, Osaka University 大阪大学 産業科学研究所 第2研究分門 自然材料機能化研究分野

How to prepare the experimental video

2021/01/19 about BGM & images 能木

2021/01/17 能木

手順 / Procedure

1. 繰り返しマニュアルを読む / Read the manual in many times
2. 動画が必要な部分をピックアップ / Only pick up the process where needs the image.
3. ストーリーボードを作る / Storyboard (1カット3-4秒を6-8つ。6-8 shots with 3-4 sec in each)
4. 模倣品を使って撮影 / Take a video using the imitations
5. 編集(トピック1つ・目標30秒動画) / Edit (Only one topic. Target length 30s)
6. アイテム4つを能木へ送信 / Send four items to Nogi

0. いつも、術語統一・略語禁止 / No abbreviations & No abbreviations, anytime

You must always & absolutely keep the basic two rules. So, the readers/audience easily understand what you say.

1. 繰り返しマニュアルを読む / Read the manual in many times

You must read the official manual to understand the whole procedures, before you start to take a movie.

You don’t need to ask someone’s advice when you understand the procedures. There are often some mistakes or misunderstandings in others’ & supervisors’ advice or comments. The official manual is always & absolutely correct.

So, you must read the official manual in many times by yourself to understand the whole procedures.

2. 動画が必要な部分をピックアップ / Only pick up the process where needs the image.

When you read the manual, pick up the scene/procedure where the readers need the image.
The experimental video is just a supporting information for the official manual.

Since “one shot is 3-4 sec”, please pick up 6-8 topics from the manual. So, you will make 30 sec video.

You don’t need to prepare the scene, where is easy to understand from only the text. You will prepare the scene, where is only hard-understanding from the text.
The standard length in video is 30 sec. So, you will reject the easy scene, such as “turn on the machine”.

3. ストーリーボードを作る / Storyboard

Before turning on camera or PC, you must scratch out your idea and objectives with a pen and paper. Video structure is paramount.
More detail, read the below “5 & 6”.

30 sec video consist of 6-8 shots, since one shot is 3-4 sec.

4. 模倣品を使って撮影 / Take a video using the imitations

Must use the imitated sample/situation, not the actual ones, when you take the video. You must completely avoid the risk in taking the video.

実験は、酸・アルカリ・高温など、しばしば危険な環境で行います。しかし動画撮影は、そのような危険な環境ではなく、安全な環境で行ってください。例えば、ホットプレートを見ただけで、スイッチがはいているかどうか分かりますか? 塩酸と水道水、見ただけで区別つきますか?
You often do the experiments under the dangerous environment, such as strong acid & alkali, and high temperature.
However, You will take a video under the more safety, not the dangerous.
For example, at only seeing the hotplate, can you understand it is “on” or “off”? At only seeing the beaker, can you know it is the water or HCl?

NO WAY !! You will receive some risks during the recording the video.
So, you must use the imitated safety items, unless you need.

5. 編集(トピック1つ・目標30秒動画) / Edit (Only one topic. Target length 30s)

One video has only one topic.
The target length is 30 sec. Since one shot is 3-4 sec, one video has 6-8 shots.

How much seconds in one shot?

You can use only middle 60% area. Top & bottom 20% area is used by YouTube system. So, you must keep middle 60% for the objects & texts.

Simple sentence with larger font size

Let’s use the free BGM and images from the below.
フリーBGM / Free BGM
フリー写真サイト / Free pictures.

6. アイテム4つを能木へ送信 / Send four items to Nogi

Please send me four items of “movie file, manual PDF, machine information, thumbnail jpg file”.

For the movie file, please use the file transfer service, not directly send via email.

For manual PDF, please send me a scan & OCR file

(Inserted here: materials data)
Entry from Alexandria via LeMat-Bulk: a relaxed structure of ZnCr2MoO (GGA+U).

The structure in CIF format:
```
data_ZnCr2MoO
_symmetry_space_group_name_H-M 'P 4/m m m'
_symmetry_Int_Tables_number 123
_symmetry_space_group_name_Hall '-P 4 2'
_cell_length_a 5.393
_cell_length_b 5.393
_cell_length_c 3.835
_cell_angle_alpha 90.00
_cell_angle_beta 90.00
_cell_angle_gamma 90.00
loop_
_atom_site_label
_atom_site_fract_x
_atom_site_fract_y
_atom_site_fract_z
Zn1 0.000 0.000 0.000
Cr1 0.000 0.500 0.500
Mo1 0.500 0.500 0.500
O1 0.500 0.500 0.000
```

E	-5.150	eV per atom
spin magnetization	7.134	Bohr magnetons per cell
Fermi-level density of states	2.45	states/eV per cell

For the machine video, please send me the company name, machine ID number, and its URL

For the thumbnail picture, please send me the below JPG file. Top title & center logo will be automatically inserted on the web.

© Department of Functionalized Natural Materials ISIR, Osaka University